## Brief
It remains to reproduce the whole of the entries below unchanged.

## Entries
~~~
[1]
Cr3CoP4O16 | PBE with a Hubbard U | relaxed

Cell: 4.7611 5.7791 9.9257 Å, 90.00 90.46 90.00°
Last column: nearest neighbours and their distance in Å.
Fractional coordinates of all 24 atoms:
Cr: 0.0000 0.0000 0.0000  6 O 1.97-2.09
Cr: 0.0542 0.5000 0.5432  6 O 1.97-2.08
Cr: 0.5534 0.0000 0.5022  6 O 1.96-2.08
Co: 0.4748 0.5000 0.0496  4 O 1.93-1.96
P: 0.1131 0.0000 0.6805  4 O 1.51-1.60
P: 0.4501 0.0000 0.1795  4 O 1.51-1.60
P: 0.6100 0.5000 0.3637  4 O 1.52-1.59
P: 0.9393 0.5000 0.8690  4 O 1.53-1.57
O: 0.2019 0.0000 0.8271  1 P 1.51
O: 0.2617 0.2058 0.6009  1 P 1.60
O: 0.2617 0.7942 0.6009  1 P 1.60
O: 0.2636 0.5000 0.8834  1 P 1.55
O: 0.2932 0.5000 0.3821  1 P 1.52
O: 0.2983 0.2053 0.0994  1 P 1.60
O: 0.2983 0.7947 0.0994  1 P 1.60
O: 0.3586 0.0000 0.3259  1 P 1.52
O: 0.6942 0.5000 0.2159  1 P 1.52
O: 0.7610 0.2944 0.4433  1 P 1.59
O: 0.7610 0.7056 0.4433  1 P 1.59
O: 0.7660 0.0000 0.1641  1 P 1.51
O: 0.7957 0.0000 0.6631  1 P 1.52
O: 0.7968 0.2920 0.9437  1 P 1.57
O: 0.7968 0.7080 0.9437  1 P 1.57
O: 0.8644 0.5000 0.7189  1 P 1.53

Computed properties:
density: 3.6 g/cm³
final energy: -0.270 hartree per atom
energy of formation: -56.0 kcal/mol of atoms
piezoelectric modulus e_max: 0.7 C/m2

[2]
CrCoP2O8 | PBE with a Hubbard U | relaxed

Cell: 4.7915 5.8026 9.9209 Å, 90.00 90.10 90.00°
Last column: nearest neighbours and their distance in Å.
Fractional coordinates of all 24 atoms:
Cr: 0.0269 0.2500 0.2714  6 O 1.97-2.11
Cr: 0.9731 0.7500 0.7286  6 O 1.97-2.11
Co: 0.4558 0.2500 0.7730  6 O 1.93-2.16
Co: 0.5442 0.7500 0.2270  6 O 1.93-2.16
P: 0.0898 0.7500 0.4060  4 O 1.52-1.58
P: 0.4230 0.7500 0.9081  4 O 1.52-1.60
P: 0.5770 0.2500 0.0919  4 O 1.52-1.60
P: 0.9102 0.2500 0.5940  4 O 1.52-1.58
O: 0.1704 0.7500 0.5545  1 P 1.52
O: 0.2282 0.2500 0.6118  1 P 1.53
O: 0.2341 0.5433 0.3285  1 P 1.58
O: 0.2341 0.9567 0.3285  1 P 1.58
O: 0.2627 0.2500 0.1087  1 P 1.52
O: 0.2740 0.5450 0.8276  1 P 1.60
O: 0.2740 0.9550 0.8276  1 P 1.60
O: 0.3348 0.7500 0.0553  1 P 1.52
O: 0.6652 0.2500 0.9447  1 P 1.52
O: 0.7260 0.0450 0.1724  1 P 1.60
O: 0.7260 0.4550 0.1724  1 P 1.60
O: 0.7373 0.7500 0.8913  1 P 1.52
O: 0.7659 0.0433 0.6715  1 P 1.58
O: 0.7659 0.4567 0.6715  1 P 1.58
O: 0.7718 0.7500 0.3882  1 P 1.53
O: 0.8296 0.2500 0.4455  1 P 1.52

Computed properties:
density: 3.6 g/cm³
final energy: -0.262 hartree per atom
energy of formation: -52.6 kcal/mol of atoms

----------

Here is a relaxed structure of HoErIr2 from the Materials Project database. Energies are from meta-GGA r2SCAN.

For the formation energy, the calculation gives -996 meV per atom. As for the total moment: 0.20 μB/f.u.

Unit cell a=4.785 b=4.785 c=4.785 alpha=60.00 beta=60.00 gamma=60.00
Element x y z (fractional)
Ho1 0.000 0.000 0.000
Er1 0.500 0.500 0.500
Ir1 0.250 0.250 0.250
Ir2 0.750 0.750 0.750

Here is a relaxed structure of HoErMg2 from the Materials Project database. Energies are from meta-GGA r2SCAN.

For the formation energy, the calculation gives -80 meV per atom. As for the total moment: 0.00 μB/f.u.

Unit cell a=5.326 b=5.326 c=5.326 alpha=60.00 beta=60.00 gamma=60.00
Element x y z (fractional)
Ho1 0.000 0.000 0.000
Er1 0.500 0.500 0.500
Mg1 0.250 0.250 0.250
Mg2 0.750 0.750 0.750

Here is a relaxed structure of HoErPd2 from the Materials Project database. Energies are from meta-GGA r2SCAN.

For the formation energy, the calculation gives -950 meV per atom. As for the total moment: 0.00 μB/f.u.

Unit cell a=4.896 b=4.896 c=4.896 alpha=60.00 beta=60.00 gamma=60.00
Element x y z (fractional)
Ho1 0.000 0.000 0.000
Er1 0.500 0.500 0.500
Pd1 0.250 0.250 0.250
Pd2 0.750 0.750 0.750

Here is a relaxed structure of HoErRu2 from the Materials Project database. Energies are from meta-GGA r2SCAN.

For the formation energy, the calculation gives -419 meV per atom. As for the total moment: 0.00 μB/f.u.

Unit cell a=4.743 b=4.743 c=4.748 alpha=119.99 beta=119.99 gamma=59.96
Element x y z (fractional)
Ho1 0.000 0.000 0.000
Er1 0.500 0.500 0.500
Ru1 0.250 0.250 0.750
~~~

## Done
[1]
Cr3CoP4O16 | PBE with a Hubbard U | relaxed

Cell: 4.7611 5.7791 9.9257 Å, 90.00 90.46 90.00°
Last column: nearest neighbours and their distance in Å.
Fractional coordinates of all 24 atoms:
Cr: 0.0000 0.0000 0.0000  6 O 1.97-2.09
Cr: 0.0542 0.5000 0.5432  6 O 1.97-2.08
Cr: 0.5534 0.0000 0.5022  6 O 1.96-2.08
Co: 0.4748 0.5000 0.0496  4 O 1.93-1.96
P: 0.1131 0.0000 0.6805  4 O 1.51-1.60
P: 0.4501 0.0000 0.1795  4 O 1.51-1.60
P: 0.6100 0.5000 0.3637  4 O 1.52-1.59
P: 0.9393 0.5000 0.8690  4 O 1.53-1.57
O: 0.2019 0.0000 0.8271  1 P 1.51
O: 0.2617 0.2058 0.6009  1 P 1.60
O: 0.2617 0.7942 0.6009  1 P 1.60
O: 0.2636 0.5000 0.8834  1 P 1.55
O: 0.2932 0.5000 0.3821  1 P 1.52
O: 0.2983 0.2053 0.0994  1 P 1.60
O: 0.2983 0.7947 0.0994  1 P 1.60
O: 0.3586 0.0000 0.3259  1 P 1.52
O: 0.6942 0.5000 0.2159  1 P 1.52
O: 0.7610 0.2944 0.4433  1 P 1.59
O: 0.7610 0.7056 0.4433  1 P 1.59
O: 0.7660 0.0000 0.1641  1 P 1.51
O: 0.7957 0.0000 0.6631  1 P 1.52
O: 0.7968 0.2920 0.9437  1 P 1.57
O: 0.7968 0.7080 0.9437  1 P 1.57
O: 0.8644 0.5000 0.7189  1 P 1.53

Computed properties:
density: 3.6 g/cm³
final energy: -0.270 hartree per atom
energy of formation: -56.0 kcal/mol of atoms
piezoelectric modulus e_max: 0.7 C/m2

[2]
CrCoP2O8 | PBE with a Hubbard U | relaxed

Cell: 4.7915 5.8026 9.9209 Å, 90.00 90.10 90.00°
Last column: nearest neighbours and their distance in Å.
Fractional coordinates of all 24 atoms:
Cr: 0.0269 0.2500 0.2714  6 O 1.97-2.11
Cr: 0.9731 0.7500 0.7286  6 O 1.97-2.11
Co: 0.4558 0.2500 0.7730  6 O 1.93-2.16
Co: 0.5442 0.7500 0.2270  6 O 1.93-2.16
P: 0.0898 0.7500 0.4060  4 O 1.52-1.58
P: 0.4230 0.7500 0.9081  4 O 1.52-1.60
P: 0.5770 0.2500 0.0919  4 O 1.52-1.60
P: 0.9102 0.2500 0.5940  4 O 1.52-1.58
O: 0.1704 0.7500 0.5545  1 P 1.52
O: 0.2282 0.2500 0.6118  1 P 1.53
O: 0.2341 0.5433 0.3285  1 P 1.58
O: 0.2341 0.9567 0.3285  1 P 1.58
O: 0.2627 0.2500 0.1087  1 P 1.52
O: 0.2740 0.5450 0.8276  1 P 1.60
O: 0.2740 0.9550 0.8276  1 P 1.60
O: 0.3348 0.7500 0.0553  1 P 1.52
O: 0.6652 0.2500 0.9447  1 P 1.52
O: 0.7260 0.0450 0.1724  1 P 1.60
O: 0.7260 0.4550 0.1724  1 P 1.60
O: 0.7373 0.7500 0.8913  1 P 1.52
O: 0.7659 0.0433 0.6715  1 P 1.58
O: 0.7659 0.4567 0.6715  1 P 1.58
O: 0.7718 0.7500 0.3882  1 P 1.53
O: 0.8296 0.2500 0.4455  1 P 1.52

Computed properties:
density: 3.6 g/cm³
final energy: -0.262 hartree per atom
energy of formation: -52.6 kcal/mol of atoms

----------

Here is a relaxed structure of HoErIr2 from the Materials Project database. Energies are from meta-GGA r2SCAN.

For the formation energy, the calculation gives -996 meV per atom. As for the total moment: 0.20 μB/f.u.

Unit cell a=4.785 b=4.785 c=4.785 alpha=60.00 beta=60.00 gamma=60.00
Element x y z (fractional)
Ho1 0.000 0.000 0.000
Er1 0.500 0.500 0.500
Ir1 0.250 0.250 0.250
Ir2 0.750 0.750 0.750

Here is a relaxed structure of HoErMg2 from the Materials Project database. Energies are from meta-GGA r2SCAN.

For the formation energy, the calculation gives -80 meV per atom. As for the total moment: 0.00 μB/f.u.

Unit cell a=5.326 b=5.326 c=5.326 alpha=60.00 beta=60.00 gamma=60.00
Element x y z (fractional)
Ho1 0.000 0.000 0.000
Er1 0.500 0.500 0.500
Mg1 0.250 0.250 0.250
Mg2 0.750 0.750 0.750

Here is a relaxed structure of HoErPd2 from the Materials Project database. Energies are from meta-GGA r2SCAN.

For the formation energy, the calculation gives -950 meV per atom. As for the total moment: 0.00 μB/f.u.

Unit cell a=4.896 b=4.896 c=4.896 alpha=60.00 beta=60.00 gamma=60.00
Element x y z (fractional)
Ho1 0.000 0.000 0.000
Er1 0.500 0.500 0.500
Pd1 0.250 0.250 0.250
Pd2 0.750 0.750 0.750

Here is a relaxed structure of HoErRu2 from the Materials Project database. Energies are from meta-GGA r2SCAN.

For the formation energy, the calculation gives -419 meV per atom. As for the total moment: 0.00 μB/f.u.

Unit cell a=4.743 b=4.743 c=4.748 alpha=119.99 beta=119.99 gamma=59.96
Element x y z (fractional)
Ho1 0.000 0.000 0.000
Er1 0.500 0.500 0.500
Ru1 0.250 0.250 0.750